Written by Dan Parry 20 April, 2022

{"formula": "C41H56N3O5P2S4Sn", "method": "ωB97M-V/def2-TZVPD", "total_charge": -1, "symbols": ["Sn", "C", "C", "C", "C", "C", "C", "C", "C", "S", "C", "N", "C", "C", "C", "C", "C", "C", "C", "C", "H", "H", "H", "H", "H", "H", "H", "H", "H", "H", "H", "H", "H", "H", "H", "H", "C", "C", "C", "C", "O", "P", "O", "O", "O", "C", "C", "C", "C", "H", "H", "H", "H", "H", "H", "H", "H", "H", "H", "H", "H", "H", "H", "H", "H", "H", "H", "C", "P", "C", "C", "C", "C", "C", "C", "C", "H", "H", "H", "H", "H", "H", "H", "H", "H", "H", "H", "C", "O", "C", "S", "S", "H", "H", "H", "C", "C", "C", "C", "N", "C", "S", "N", "C", "H", "H", "H", "H", "H", "H", "H", "H"], "xyz": [[15.1464, 13.6858, 11.9317], [17.7069, 6.6777, 11.6654], [17.1592, 7.6496, 12.7493], [15.6291, 7.6642, 12.5597], [17.5181, 7.1146, 14.1068], [17.7460, 9.0502, 12.6178], [19.1410, 9.1227, 12.6828], [19.8116, 10.2626, 12.3958], [19.0812, 11.4080, 12.0927], [19.7314, 12.8581, 11.4864], [18.1049, 13.3801, 11.2652], [17.1946, 12.5603, 11.6604], [17.7192, 11.3764, 12.0991], [17.0169, 10.1925, 12.3745], [17.7174, 14.7267, 10.6855], [18.6388, 15.5224, 10.0035], [18.2406, 16.7478, 9.5303], [16.9681, 17.2714, 9.7779], [16.0698, 16.4351, 10.4494], [16.4196, 15.1345, 10.8677], [17.1735, 5.7396, 11.8181], [18.7985, 6.4918, 11.8060], [17.5978, 7.0355, 10.6338], [15.2342, 6.6416, 12.4366], [15.3679, 8.1998, 11.6169], [15.1314, 8.1376, 13.4212], [17.1627, 6.0504, 14.2712], [17.1122, 7.7268, 14.9024], [18.6191, 7.0542, 14.2028], [19.6897, 8.2216, 12.7385], [20.8751, 10.2985, 12.3436], [15.9221, 10.2121, 12.3063], [19.6745, 15.1174, 9.9690], [18.8729, 17.4249, 8.9139], [16.6465, 18.2377, 9.4449], [15.0128, 16.7229, 10.5851], [13.2086, 10.3021, 10.4144], [13.1139, 10.0720, 8.9029], [13.7156, 8.6719, 8.5515], [11.6506, 10.2000, 8.3928], [13.8375, 11.0714, 8.1425], [15.0495, 12.1227, 8.5674], [15.2237, 12.9638, 7.3842], [14.7319, 12.7757, 9.8966], [16.2845, 11.1225, 8.8083], [17.3506, 10.7855, 7.8974], [18.2385, 11.9741, 7.5551], [16.7904, 10.1970, 6.6064], [18.1998, 9.7427, 8.6288], [12.7884, 9.4267, 10.9485], [12.7834, 11.2345, 10.7646], [14.2626, 10.3175, 10.6783], [13.2075, 7.8547, 9.0535], [14.7632, 8.6081, 8.8681], [13.6775, 8.4975, 7.4267], [10.9914, 9.4611, 8.7823], [11.6535, 10.2383, 7.3003], [11.1755, 11.1188, 8.6872], [17.5917, 12.7611, 7.1299], [18.9316, 11.6399, 6.7887], [18.8881, 12.3193, 8.4280], [16.0943, 10.8850, 6.0994], [16.2949, 9.2518, 6.7890], [17.5959, 10.0099, 5.9021], [18.6947, 10.1379, 9.4714], [18.9278, 9.3352, 7.9371], [17.6240, 8.8987, 9.0335], [11.4938, 16.4598, 10.2946], [11.6328, 14.7166, 10.9569], [10.4819, 13.8368, 9.8816], [10.6934, 14.8553, 12.5074], [9.3008, 15.0144, 12.5441], [8.6278, 14.7951, 13.7437], [9.2950, 14.5391, 14.9022], [10.6675, 14.5309, 14.9184], [11.3407, 14.7018, 13.7147], [10.4697, 16.7368, 9.9652], [12.1877, 16.6865, 9.4524], [11.8030, 17.0940, 11.0961], [9.5942, 14.4253, 9.6901], [10.1938, 12.9007, 10.3832], [10.9317, 13.5833, 8.9450], [8.6831, 15.3261, 11.7361], [7.5716, 14.9778, 13.8348], [8.7587, 14.3441, 15.8216], [11.1582, 14.4372, 15.8300], [12.4406, 14.4799, 13.7610], [14.4116, 16.4045, 14.7714], [14.4021, 15.1035, 15.4244], [15.3711, 14.1794, 15.4352], [15.2341, 12.9439, 16.5435], [16.6206, 14.3989, 14.2450], [13.3980, 16.8188, 14.9638], [14.6189, 16.3713, 13.7405], [15.1432, 17.0157, 15.3311], [11.4183, 7.1688, 11.4733], [10.6277, 8.4316, 11.6361], [9.6131, 8.7528, 10.8082], [8.9095, 9.9530, 11.1188], [9.1496, 10.7272, 12.1414], [10.1813, 10.4292, 12.9709], [10.5132, 11.3543, 14.2811], [10.9128, 9.2688, 12.6738], [7.8267, 10.3855, 10.2350], [11.0221, 6.6592, 10.6548], [11.3581, 6.4464, 12.3408], [12.4927, 7.2966, 11.3669], [9.3627, 8.2172, 9.8876], [11.7170, 9.0382, 13.2757], [7.0351, 10.9215, 10.7333], [7.3658, 9.5455, 9.6971], [8.3675, 10.9696, 9.4380]], "atomic_forces_ev_per_a": [[-0.627, -0.381, 0.084], [0.971, 0.324, 0.426], [-0.932, -0.038, -0.985], [-0.193, 0.220, -0.381], [0.496, -1.801, 0.673], [-0.312, -0.369, -0.064], [-0.290, 0.104, -0.656], [0.068, 0.752, 0.029], [1.581, -1.428, 0.370], [-0.135, 0.558, -0.185], [-0.409, 2.193, -0.950], [-0.814, 0.412, -0.256], [-0.805, -0.222, 0.115], [-0.413, 0.207, -0.095], [0.966, -0.845, 0.324], [0.872, -0.961, 0.608], [0.485, 1.979, -1.013], [-0.467, -1.922, 0.743], [-0.585, -0.402, -0.172], [-0.780, 0.738, 0.245], [0.132, -0.142, -0.288], [-0.735, 0.032, -0.031], [-0.284, 0.005, 0.287], [0.207, 0.259, 0.266], [0.078, -0.224, 0.678], [0.042, -0.033, -0.371], [0.139, 1.095, -0.302], [0.000, 0.184, 0.188], [-0.509, 0.166, 0.172], [0.552, -0.775, 0.437], [0.667, -0.134, 0.030], [0.544, -0.050, 0.068], [-0.677, 0.700, -0.529], [0.033, -0.881, 0.650], [0.121, 0.342, -0.228], [0.628, 0.169, -0.010], [0.346, -0.959, -0.071], [-0.128, 0.146, -0.239], [0.035, 0.617, -1.203], [1.038, 0.402, -0.397], [0.164, 0.083, 0.631], [-1.101, -0.428, 0.061], [0.353, 0.469, -0.709], [0.132, -0.680, -0.391], [0.478, -0.126, 0.561], [0.084, -0.329, 0.172], [0.229, 0.650, 0.684], [-0.304, 0.337, -0.364], [-0.950, -0.820, -0.636], [0.028, 0.648, -0.357], [-0.271, 0.125, -0.051], [0.207, 0.104, 0.098], [-0.397, -0.062, 0.054], [-0.073, 0.266, -0.110], [0.011, 0.244, 1.375], [-0.245, -1.065, 0.068], [0.001, -0.400, 0.062], [0.239, 0.781, 0.386], [0.487, -0.046, 0.393], [0.171, 0.021, -0.191], [-1.150, -0.232, -0.948], [0.157, -0.158, 0.425], [-0.259, -0.194, 0.126], [0.259, -0.090, -0.033], [0.722, 0.818, 0.977], [0.283, -0.061, -0.125], [-0.245, 0.179, -0.371], [-0.202, -0.300, -1.049], [1.212, 0.817, -0.116], [-0.740, -0.488, 0.516], [-0.997, 0.297, -0.442], [-0.034, -0.345, 1.339], [-0.431, 0.876, -0.813], [0.358, -0.217, 1.112], [-0.799, 0.753, -1.458], [2.006, -1.251, 0.727], [0.446, -0.156, 0.307], [-0.423, -0.523, 0.464], [0.073, 0.601, 0.643], [-0.402, 0.071, -0.068], [0.005, 0.211, -0.100], [0.488, -0.073, -0.603], [-0.030, -0.035, -0.973], [-0.419, -0.220, -0.383], [-0.131, 0.088, 0.021], [1.130, -0.402, 1.288], [-1.022, 0.544, -0.330], [-0.141, -0.249, 2.455


Standing up for truth can be a risky business. In Ukraine, where truth is a matter of life or death, disinformation is intended to mislead participants and observers alike. Safe routes for example, accepted by Russia as ‘humanitarian corridors’, have come under attack. While Ukrainians fight to protect their homes, the rest of us can support them by choosing a careful response to what we hear. It’s the next step in our new relationship with truth that we in the West have been developing for a while.

The dangers of disinformation

Truth is easily overlooked. Like a downtrodden partner in a difficult relationship, whether at work, at home, in international diplomacy or on battlefields, truth often struggles to be heard. When two or more sides take conflicting views, usually it’s clear what the competing opinions are all about. Sometimes however things are complicated by disinformation.

There’s nothing new in deliberately misleading the audience. In the 1970s, industry was slow to accept the science on global warming, describing it instead as climate change, as benign as a change of clothes. By downplaying the threat, industry prolonged dependency on fossil fuels, with the result that today we have a ‘climate emergency’.

Of course, politicians have not been backward in coming forward with their own versions of honesty and accuracy, often relying on ‘an economy of truth’, as Edmund Burke put it. Sometimes, a narcissistic drive for power leads to dangerous manipulations of the truth. For example, honest hopes about ‘making America great again’ wouldn’t necessarily include storming the Capitol Building.

In the past, clarity wasn’t helped by false equivalence. BBC journalists – full disclosure, I was once one myself – are committed to being objective, which in the BBC way of things isn’t always the same thing as being truthful. A climate scientist for example would be interviewed alongside a climate denier, both sharing equal prominence. To suggest that eminent scientists and politically-motivated critics share a mutual level of expertise is a claim that might be objective, but is it truthful? Not always.

Targeting falsehood and inaccuracy

## What comes next are records of molecules, not part of the article
~~~
# 1
{
  "formula": "C6H9N4",
  "method": "ωB97M-V with the def2-TZVPD basis set",
  "symbols": ["C", "C", "C", "N", "N", "H", "H", "H", "H", "H", "N", "C", "C", "C", "N", "H", "H", "H", "H"],
  "coordinates": [[2.03981, 1.05821, -0.55749], [3.24816, 0.52218, -0.91591], [3.43716, 1.31386, 1.15423], [2.19245, 1.53554, 0.72088], [4.08310, 0.69686, 0.16009], [1.10045, 1.13470, -1.10507], [3.57100, 0.03873, -1.83794], [3.84565, 1.58357, 2.12813], [1.45725, 2.00279, 1.28164], [5.07398, 0.39840, 0.20880], [0.46825, 2.56219, 2.03336], [0.08782, 3.82429, 2.15277], [-0.39255, 1.84972, 2.83362], [-1.30102, 2.68872, 3.44185], [-0.97788, 3.94555, 2.99447], [0.54368, 4.68169, 1.65765], [-0.31493, 0.76693, 2.93186], [-2.12478, 2.51003, 4.13292], [-1.45129, 4.81656, 3.24699]],
  "mulliken_charge": [-0.247, -0.489, -0.116, -0.138, -0.123, 0.413, 0.372, 0.375, 0.821, 0.258, -0.321, -0.304, -0.300, -0.451, -0.106, 0.365, 0.385, 0.369, 0.237],
  "homo_lumo_gap_ev": 10.29,
  "charge": 1,
  "homo_ev": -12.621,
  "e_tot_ev": -12322.634,
  "spin_multiplicity": 1,
  "relative_energy_ev": 0.000
}

=====

# 2
{
  "formula": "C6H9N4",
  "method": "ωB97M-V with the def2-TZVPD basis set",
  "symbols": ["C", "C", "C", "C", "C", "C", "N", "N", "N", "N", "H", "H", "H", "H", "H", "H", "H", "H", "H"],
  "coordinates": [[2.35269, 0.54886, -0.02680], [1.07186, 0.94912, -0.07145], [0.41694, -0.60158, 0.04895], [-1.67309, 0.29295, 0.14455], [0.10365, 2.10510, -0.03790], [-1.49576, -2.13570, -0.15254], [1.36340, -1.40186, -0.00251], [2.51523, -0.76944, -0.10453], [-1.26525, 1.53194, 0.01192], [-0.93674, -0.77389, 0.12557], [3.19216, 1.22127, -0.07398], [-2.75025, 0.12091, 0.29469], [0.21799, 2.60110, 0.93852], [0.38912, 2.66430, -0.91373], [-2.07211, -2.42439, 0.64998], [-0.68379, -2.75840, -0.05629], [-2.12825, -2.22227, -0.95822], [3.29297, -1.35326, 0.19151], [-1.91077, 2.40525, -0.00773]],
  "mulliken_charge": [-0.823, 0.299, 0.547, -0.239, -0.284, -1.136, -0.556, 0.124, -0.255, -0.006, 0.457, 0.383, 0.321, 0.342, 0.451, 0.400, 0.391, 0.304, 0.278],
  "homo_lumo_gap_ev": [6.58, 6.89],
  "charge": 1,
  "homo_ev": [-9.148, -14.059],
  "e_tot_ev": -12316.013,
  "spin_multiplicity": 3,
  "relative_energy_ev": 0.551
}

=====

# 3
{
  "formula": "C6H9N4O2",
  "method": "ωB97M-V with the def2-TZVPD basis set",
  "symbols": ["C", "C", "C", "C", "C", "C", "N", "N", "N", "N", "O", "O", "H", "H", "H", "H", "H", "H", "H", "H", "H"],
~~~
## Here the article continues

These days there is a new phase in the West’s relationship with truth in which we’re ready to go to greater lengths to protect it. False equivalence is less prominent. Academic expertise is rightly valued by more sections of the media. Soulless objectivity is being replaced by a heartfelt commitment to recognise nuance. Sources of disinformation are being closed down. A clear example of this proactive approach to truth can be seen in the West’s handling of Russian disinformation.

The West has accused Russia of supplying misleading information in the 2014 Scottish independence referendum, the 2016 US election, the 2019 UK election and elsewhere, (the UK government has so far neglected to seek detailed evidence about the 2016 Brexit vote).

Russian agencies released thousands of private emails illegally retrieved from the Democratic National Committee. They launched cyber-attacks on European infrastructure and systematically pumped fake news across social media. Such actions, aimed at presenting false perspectives, encouraging populist dissent and creating division, have never been more evident than in the war in Ukraine.

Winning the communication war

In Ukraine, the battle for opinion is key. If he fails to win the communication war, President Putin risks losing influence at home, potentially compromising his grip on power. Meanwhile, if the West fails to win widespread, international support for their actions, totalitarian leaders elsewhere may be encouraged to conduct ‘special operations’ of their own.

At the heart of this communication war, we – everyone from Moscow to Washington, via London and Kyiv – have choices to make regarding who and what to believe.

In the West’s new relationship with truth, it’s not enough to hope that honest evaluations will automatically be obvious to all. Distortion comes all too easily. Whether in references to ‘climate change’, election interference or attempts to disguise wholesale war in Ukraine, uncertainty can be deliberately stoked and exploited.

Which is why in recent weeks, the West has been fighting back. Western intelligence agencies have been openly exposing Russian denials and disinformation. When Moscow said there would be no invasion, the West revealed the date the attack might begin. Western intelligence officials have also spoken out against false ceasefires and dismissed fake allegations that the US is operating a biochemical laboratory in Ukraine.

Meanwhile, the UK and US have cracked down on disinformation outlets, imposing sanctions on Russian organisations and websites. Google, Facebook, Twitter and TikTok have been blocking Kremlin-run media agencies and actively removing or demoting content associated with Moscow. According to Jānis Sārts, director of the NATO Strategic Communications Center of Excellence, “Russia has lost the information war in the West, fair and square.”

Protecting truth at work

Truth must be vigorously protected, falsehood must be actively rejected. Leaders cannot afford to create an environment where people feel afraid to speak out. A commitment to truth and honesty at work has many benefits, including:

  • Creating a sense of trust, in which employees feel they can believe what leaders are telling them.
  • Avoiding the suspicion that can be caused by misleading or intentionally vague communication. Trust breaks down when there is a disconnect between words and actions.
  • A solid foundation for building cohesive teams, staffed by people who can trust each other.
  • Integrity is a key part of reputation, enabling a company culture that is inclusive and open to all. No business wants to be regarded as untrustworthy.
  • Honesty and trust enable positive performance reviews, allowing people to express themselves fully rather than hide behind things they feel they ought to say.
  • In the absence of honesty and trust, mistakes are buried and problems can escalate.
  • Truth goes hand in hand with kindness and empathy, values that facilitate teamwork. Mean-spirited honesty however isn’t helpful.
  • Truth and honesty are key components of wellbeing and mental health. Unfounded rumour and gossip can be harmful, and can be deflated by accurate information.

(Unrelated to this entry: molecular data)
- - -
# C5H9ClP2

A structure of composition C5H9ClP2 (wB97M-V/def2-TZVPD, the Open Molecules 2025 dataset).

Max |F| ... 3.48 eV Å⁻¹
Gap between HOMO and LUMO (spin up / spin down) ... 4.44 / 4.41 eV
HOMO (spin up / spin down) ... -0.1599 / -0.3023 Eh
LUMO energy (spin up / spin down) ... 0.0864 / -3.8175 eV
M ... 166.53 g mol⁻¹
<S²> ... 2.02
E_tot ... -36424.386 eV

Structure (ORCA input):
```
! wB97M-V def2-TZVPD RIJCOSX def2/J DEFGRID3
* xyz 0 3
Cl -0.36858 2.69488 -1.79672
P -0.38294 1.84623 -0.03010
P -2.44192 -0.54973 0.04963
C 1.73345 0.13397 0.64546
C 0.34530 -0.58349 0.79821
C 1.47167 1.63414 0.14346
C -0.67702 -0.01016 -0.26218
C -2.70755 -2.09208 -0.53841
H -0.31168 -0.23931 -1.54104
H 0.46520 -1.62762 0.79717
H 2.55040 -0.29336 0.07864
H 1.94324 2.32285 0.85906
H -3.51463 -2.74412 -0.51361
H -0.15739 -0.21289 1.67792
H 1.93017 1.78005 -0.82720
H -1.93139 -2.52350 -1.19082
H 2.05365 0.46414 1.65055
*
```


# C5H9ClS

The molecule C5H9ClS (wB97M-V/def2-TZVPD, the Open Molecules 2025 dataset).

Max |F| ... 4.95 eV Å⁻¹
Gap between HOMO and LUMO ... 9.42 eV
HOMO ... -0.3190 Eh
LUMO energy ... 0.7435 eV
Structure (SMILES) ... CS/C(C)=C(\C)Cl
Relative energy (zero: lowest compared OMol25 entry of this formula, charge and spin) ... 21.6 kcal/mol
M ... 136.65 g mol⁻¹
E_tot ... -28687.265 eV

Structure (ORCA input):
```
! wB97M-V def2-TZVPD RIJCOSX def2/J DEFGRID3
* xyz 0 1
Cl -2.81681 -0.13638 -0.18243
S 1.44548 -0.26184 0.81878
C -1.22936 0.38377 0.25089
C -0.20558 -0.56620 0.23901
C -0.54404 -2.04491 0.01044
C -0.86173 1.75660 0.64258
C 2.07689 0.34790 -0.83980
H 1.51875 -0.00423 -1.68230
H -0.66551 -2.64311 0.94230
H -1.38157 -2.26039 -0.49098
H 0.26084 -2.46378 -0.44959
H 3.09412 0.06308 -0.82469
H 1.93951 1.41026 -0.77623
H -1.68373 2.05970 1.34555
H -1.00540 2.52460 -0.20142
H 0.05814 1.83495 1.19788
*
```


# C5H9DyMgO4

A structure of composition C5H9DyMgO4 (wB97M-V/def2-TZVPD, the Open Molecules 2025 dataset).

Max |F| ... 5.08 eV Å⁻¹
Gap between HOMO and LUMO (spin up / spin down) ... 4.34 / 4.57 eV
HOMO (spin up / spin down) ... -0.3457 / -0.3543 Eh
LUMO energy (spin up / spin down) ... -5.0692 / -5.0701 eV
Relative energy (zero: lowest compared OMol25 entry of this formula, charge and spin) ... 48.3 kcal/mol
M ... 319.93 g mol⁻¹
<S²> ... 12.06
E_tot ... -43039.753 eV

Structure (ORCA input):
```
! wB97M-V def2-TZVPD RIJCOSX def2/J DEFGRID3
* xyz 1 7
Dy 4.83959 0.09774 1.86477
Mg -0.88923 1.65777 0.13166
O 0.55276 0.22614 0.53013
O 4.95110 -0.77046 -0.06423
O 0.64111 2.75532 -0.30112
O -1.93105 -0.04900 -0.30624
C -3.34316 -0.22479 -0.43905
C 1.81134 0.78841 0.23426
C -1.24576 -1.24155 0.10169
C 0.23150 -1.01546 -0.09521
C 1.76109 2.11601 -0.02653
H -3.77467 0.73981 -0.72293
H 0.47625 -0.94112 -1.16616
H 0.81013 -1.83462 0.35282
H -1.49027 -1.45140 1.15338
H 2.78081 0.09316 0.09426
H 2.70703 2.66698 -0.12030
H -3.76779 -0.55864 0.51751
H -3.54243 -0.96866 -1.22122
H -1.57835 -2.08564 -0.51748
*
```


# C5H9EuO3
- - -
(The entry goes on)

Truth in critical thinking

Emotional intelligence – truthful awareness of other people – begins with honest understanding of yourself. These are the personality traits that help to tackle human flaws such as biases. A commitment to truth underpins the accuracy that we rely on in making decisions, and helps to support a personal sense of responsibility.

Truth enables us to take a critic’s view of our own thoughts, evaluating them, accepting those we can rely on, rejecting those we can’t. This is critical thinking, a key component of the future skills that businesses are coming to depend on in the post-pandemic world.

Together, these skills support cultural change and encourage an objective, inclusive atmosphere at work where a commitment to truth is actively pursued. We can’t afford to let truth wither on the vine. Better to actively nurture it, defend it and use it to reject deliberate falsehoods. In protecting truth from disinformation, whether from Russia or anywhere else, we’re safeguarding the values at work and at home that make us who we are.